Activity =
Quote every line below that contains the word "most".
Entries =
This entry pairs a crystal structure of Mg3P2O8 with its calculated powder diffractogram. Radiation: Cu Kα X-rays. Structure: a PBE-relaxed structure.
Kinematic intensities with the Lorentz-polarization factor, no thermal factor.

```
Mg3P2O8
1.0
5.983 0.000 0.000
0.000 4.791 0.000
-0.056 0.000 10.329
Mg P O
6 4 16
Direct
0.000 0.000 0.000 Mg
0.000 0.500 0.500 Mg
0.262 0.011 0.722 Mg
0.262 0.489 0.222 Mg
0.738 0.511 0.778 Mg
0.738 0.989 0.278 Mg
0.243 0.574 0.902 P
0.243 0.926 0.402 P
0.757 0.074 0.598 P
0.757 0.426 0.098 P
0.033 0.730 0.839 O
0.033 0.770 0.339 O
0.223 0.246 0.395 O
0.223 0.254 0.895 O
0.243 0.685 0.043 O
0.243 0.815 0.543 O
0.439 0.688 0.821 O
0.439 0.812 0.321 O
0.561 0.188 0.679 O
0.561 0.312 0.179 O
0.757 0.185 0.457 O
0.757 0.315 0.957 O
0.777 0.746 0.105 O
0.777 0.754 0.605 O
0.967 0.230 0.661 O
0.967 0.270 0.161 O
```

Principal peaks in the range 2θ = 10–90°, most intense first:
| 2θ/deg | I/Imax | h k l |
| --- | --- | --- |
| 22.8 | 1000 | 1 0 2 |
| 36.5 | 657 | 2 1 -1 |
| 20.4 | 575 | 0 1 1 |
| 35.4 | 525 | 1 1 -3 |
| 25.4 | 365 | 1 1 1 |
| 29.9 | 364 | 2 0 0 |
| 32.0 | 356 | 0 1 3 |
| 39.6 | 329 | 0 1 4 |
| 62.1 | 316 | 4 0 0 |
| 14.8 | 267 | 1 0 0 |
| 41.5 | 254 | 1 2 1 |
| 52.1 | 250 | 2 2 2 |
Completed =
Principal peaks in the range 2θ = 10–90°, most intense first: